08 Feb Trickfilm-Show I, II, III presents my complete works in three different film programs in Kassel, Germany
Trickfilm-Show Kassel: An Oscar® winner learns to walk, takes off and goes loopy
Since 2017, I have been presenting my internationally award-winning short films annually in my Trickfilm-Show at the Theaterstuebchen in Kassel. The complete show is divided into part I, II and III. In chronologically order I give entertaining insights into my career as an amateur filmmaker (Show I), as an animation student (Show II) and as a professional animation film maker (Show III), each with one and a half hours of infotainment.
With amusing little stories about the production process of the films, I describe in the Animation Show Kassel the “exciting” life of an animation artist and tell of the highs and lows in the realization of my projects.
The film program is supplemented by visual material, making-of films, work-in-progress examples, television interviews, original props and interview guests.
I have lively conversations with the audience, answer their questions, encourage them to interpret the films and discuss the content.
The Trickfilm-Show appeals to people aged 11 to 111. The films are without dialog and therefore internationally understandable.
Unrelated to this article: records of crystals:
'''
A relaxed Mn3Fe3Co2O16 crystal, computed with GGA+U.

Properties
ΔH_f (0 K)	-1.35	eV/atom
E_tot	-305.224	eV for the cell shown
total magnetization	0.8750	μB/atom

```
data_Mn3Fe3Co2O16
_chemical_formula_sum 'Mn6 Fe6 Co4 O32'
_cell_length_a 10.2354
_cell_length_b 5.8585
_cell_length_c 8.6761
_cell_angle_alpha 90.00
_cell_angle_beta 91.25
_cell_angle_gamma 90.00
_space_group_name_H-M_alt 'C 1 m 1'
_space_group_IT_number 8
_space_group_name_Hall 'C -2y'
loop_
_atom_site_label
_atom_site_type_symbol
_atom_site_fract_x
_atom_site_fract_y
_atom_site_fract_z
_atom_site_occupancy
Mn1 Mn 0.0000 0.0000 0.0000 1
Mn2 Mn 0.4155 0.2461 0.5027 1
Fe1 Fe 0.1640 0.5000 0.4995 1
Fe2 Fe 0.2484 0.2501 0.9965 1
Co1 Co 0.1625 0.0000 0.2812 1
Co2 Co 0.4974 0.0000 0.7800 1
O1 O 0.0652 0.2836 0.6380 1
O2 O 0.0876 0.2092 0.1381 1
O3 O 0.1559 0.5000 0.8920 1
O4 O 0.1588 0.0000 0.8857 1
O5 O 0.2441 0.2391 0.3918 1
O6 O 0.3028 0.0000 0.1406 1
O7 O 0.3348 0.5000 0.6064 1
O8 O 0.3361 0.5000 0.1029 1
O9 O 0.3534 0.0000 0.6323 1
O10 O 0.4193 0.2419 0.8908 1
O11 O 0.4909 0.0000 0.3901 1
O12 O 0.4990 0.5000 0.3940 1
```

* * * * *

[1]
Li4Ti2Mn3V3O16, optimized geometry, DFT GGA+U; excess energy over the best structure of this formula in the dataset = 0.43 eV/f.u.; calculated volume = 10.6 Å³ per atom
1.0
5.2589 -2.9374 0.0000
5.2589 2.9374 0.0000
-0.5102 0.0000 9.6116
Li Ti Mn V O
4 2 3 3 16
Cartesian
0.0000 0.0000 0.0000 Li
10.2622 0.0000 4.7999 Li
3.0406 0.0000 8.7288 Li
6.6535 0.0000 3.9057 Li
3.2533 0.0000 4.8551 Ti
6.9101 0.0000 0.0567 Ti
4.1597 1.4581 2.1107 Mn
4.1597 -1.4581 2.1107 Mn
8.3809 0.0000 6.8649 Mn
1.6545 0.0000 2.2526 V
5.8785 1.4584 6.9967 V
5.8785 -1.4584 6.9967 V
-0.3160 0.0000 7.8112 O
2.3929 1.2746 3.4358 O
1.4507 0.0000 5.8738 O
4.1423 1.4196 5.7254 O
3.3335 0.0000 1.1217 O
6.1663 1.4654 0.9731 O
2.3929 -1.2746 3.4358 O
4.7491 0.0000 3.3098 O
7.2450 1.3662 8.1894 O
5.0378 0.0000 8.1501 O
6.4939 0.0000 5.8675 O
4.1423 -1.4196 5.7254 O
8.7216 0.0000 0.9387 O
6.1663 -1.4654 0.9731 O
7.2450 -1.3662 8.1894 O
10.3275 0.0000 2.9765 O

[2]
Li4Ti4Mn4VO18, optimized geometry, DFT GGA+U; total energy = -7.604 eV per atom; calculated volume = 11.4 Å³ per atom
1.0
9.1396 0.0000 0.0000
0.0000 26.5360 0.0000
0.0000 0.0000 2.9112
Li Ti Mn V O
8 8 8 2 36
Cartesian
1.7463 0.3737 0.0000 Li
1.8415 21.7919 0.0000 Li
2.7283 8.5239 0.0000 Li
2.8235 13.6417 0.0000 Li
6.3161 12.8944 0.0000 Li
6.4113 18.0122 0.0000 Li
7.2981 4.7441 0.0000 Li
7.3934 26.1624 0.0000 Li
0.0917 2.7069 0.0000 Ti
1.3874 5.0949 1.4556 Ti
3.1824 18.3630 1.4556 Ti
4.4781 15.9749 0.0000 Ti
4.6615 10.5611 0.0000 Ti
5.9573 8.1731 1.4556 Ti
7.7522 21.4411 1.4556 Ti
9.0479 23.8291 0.0000 Ti
0.0380 18.3394 0.0000 Mn
1.4243 10.9748 1.4556 Mn
3.1455 24.2428 1.4556 Mn
4.5318 5.0714 0.0000 Mn
4.6078 21.4647 0.0000 Mn
5.9941 2.2932 1.4556 Mn
7.7153 15.5613 1.4556 Mn
9.1016 8.1967 0.0000 Mn
0.0000 13.2680 0.0000 V
4.5698 0.0000 0.0000 V
0.1773 11.3071 0.0000 O
0.3992 22.4285 1.4556 O
0.5702 1.5411 1.4556 O
'''
Details of the Programme
TRICKFILM-SHOW I – An Oscar® winner learns to walk
In show I, I present my first films, with which I learned to walk in the world of animated film.
I describe how I taught myself to animate as an autodidact and what creativity and success, e.g. at German and international amateur and student film competitions, meant to me.
One example is my stop-motion film DAS LETZTE BLATT, for which I received the highest award for an amateur filmmaker.
Another film is THE BIG LABYRINTH, which won the Bavarian Television amateur film competition in 1984.
The films appeal particularly to young viewers who are interested in film.

Films, presented in show I
TRICKFILM-SHOW II – An Oscar® winner takes off
The title of show II could mean: I go to Kassel to study animation at the academy of arts, I go to Hollywood or I’m enthusiastic about animated film.
The “onward journey” to international film festivals for students and professionals, encounters with animated film idols and the “flight of fancy” to Hollywood are exciting topics in my lecture.
I am showing six animated films that were made during my studies, including the Oscar®-winning stop-motion film QUEST.
I talk about my training as an animation student and how I got to the Oscars® in Hollywood.
== Someone pasted crystal structures at this point ==
********
(1)
Entry from the Materials Project: a relaxed K3P3O10 crystal (PBE-GGA).

- magnetization (μB/f.u.) = 0.4
- formation energy (meV per atom) = -1221
- energy (hartree per atom) = -0.203

Cell lengths 7.020, 18.684, 11.070 Å; angles 90.00, 110.72, 90.00 degrees
Space group P2_1/c (No. 14)
One atom of each set of equivalent atoms:
K 0.094 0.188 0.410
K 0.342 0.680 0.478
K 0.359 0.007 0.760
P 0.106 0.569 0.680
P 0.119 0.056 0.192
P 0.164 0.103 0.007
O 0.031 0.591 0.785
O 0.078 0.587 0.304
O 0.117 0.182 0.012
O 0.267 0.071 0.530
O 0.299 0.594 0.665
O 0.321 0.071 0.296
O 0.329 0.697 0.123
O 0.366 0.077 0.005
O 0.370 0.245 0.794
O 0.485 0.717 0.228

---

(2)
Entry from the Materials Project: a relaxed KPO3 crystal (PBE-GGA).

- magnetization (μB/f.u.) = 0.0
- corrected total energy (MP2020 scheme) (eV/atom) = -6.954
- formation energy (meV per atom) = -2680
- energy (hartree per atom) = -0.240

Cell lengths 16.081, 16.081, 16.081 Å; angles 90.00, 90.00, 90.00 degrees
Space group Pa-3 (No. 205)
One atom of each set of equivalent atoms:
K 0.000 0.000 0.000
K 0.000 0.000 0.500
K 0.059 0.244 0.380
K 0.128 0.128 0.128
K 0.232 0.732 0.768
P 0.046 0.155 0.672
P 0.059 0.726 0.422
O 0.003 0.673 0.476
O 0.012 0.685 0.906
O 0.024 0.638 0.756
O 0.076 0.644 0.087
O 0.092 0.692 0.342
O 0.099 0.225 0.704

---

Question: What is the formation energy in the first record?
Answer: -1221 meV per atom

~~~~~

# Sr8In4Cu3N5 | Materials Project | PBE-GGA | optimized geometry
# Calculated volume in A^3/atom: 22.941
# Raw total energy in hartree per atom: -0.16283
# Crystal system: orthorhombic
# Formation energy in eV/atom: -0.60
data_Sr8In4Cu3N5
_chemical_formula_sum 'Sr8 In4 Cu3 N5'
_space_group_name_H-M_alt 'P 1'
_space_group_IT_number 1
_space_group_name_Hall 'P 1'
_cell_length_a 11.553
_cell_length_b 11.553
_cell_length_c 11.553
_cell_angle_alpha 160.77
_cell_angle_beta 114.69
_cell_angle_gamma 68.79
loop_
_atom_site_label
_atom_site_fract_x
_atom_site_fract_y
_atom_site_fract_z
Sr1 0.749 0.902 0.848
Sr2 0.251 0.098 0.152
Sr3 0.437 0.289 0.148
Sr4 0.946 0.098 0.848
Sr5 0.141 0.289 0.852
Sr6 0.859 0.711 0.148
Sr7 0.054 0.902 0.152
Sr8 0.563 0.711 0.852
N1 0.957 0.306 0.651
N2 0.000 0.000 0.000
N3 0.043 0.694 0.349
N4 0.654 0.306 0.349
N5 0.346 0.694 0.651
Cu1 0.000 0.500 0.500
Cu2 0.808 0.308 0.500
Cu3 0.192 0.692 0.500
In1 0.416 0.916 0.500
In2 0.352 0.500 0.852
In3 0.648 0.500 0.148
In4 0.584 0.084 0.500

=====

# NaIn10CuS16 | Materials Project | PBE-GGA | optimized geometry
# Calculated volume in A^3/atom: 23.649
# Raw total energy in hartree per atom: -0.15108
# Crystal system: tetragonal
# Formation energy in eV/atom: -0.86
data_NaIn10CuS16
_chemical_formula_sum 'Na1 In10 Cu1 S16'
_space_group_name_H-M_alt 'P 1'
_space_group_IT_number 1
_space_group_name_Hall 'P 1'
_cell_length_a 7.763
_cell_length_b 7.763
_cell_length_c 10.988
_cell_angle_alpha 90.00
_cell_angle_beta 90.00
_cell_angle_gamma 90.00
loop_
_atom_site_label
_atom_site_fract_x
_atom_site_fract_y
********
Using props, photo and video material, I explain the different animation techniques of my films as well as their creation and production.

Films, presented in show II
# Attached: crystal structures
- - -
Entry 1:
Computed, not measured: a relaxed structure of Mg2Pd at the r2SCAN level of DFT.

Cell and atoms, written as CIF:
```
data_Mg2Pd
_cell_length_a 3.240
_cell_length_b 3.240
_cell_length_c 10.080
_cell_angle_alpha 90.00
_cell_angle_beta 90.00
_cell_angle_gamma 90.00
_space_group_name_H-M_alt 'I 4/m m m'
_space_group_IT_number 139
_space_group_name_Hall '-I 4 2'
loop_
_atom_site_label
_atom_site_type_symbol
_atom_site_fract_x
_atom_site_fract_y
_atom_site_fract_z
Mg1 Mg 0.000 0.000 0.147
Pd1 Pd 0.000 0.000 0.500
```

Values from the calculation:
Calculated total energy ... -10.94 eV per atom
ΔH_f (0 K) ... -0.51 eV per atom


Entry 2:
Computed, not measured: a relaxed structure of Mg3Pd5 at the r2SCAN level of DFT.

Cell and atoms, written as CIF:
```
data_Mg3Pd5
_cell_length_a 5.469
_cell_length_b 10.665
_cell_length_c 4.214
_cell_angle_alpha 90.00
_cell_angle_beta 90.00
_cell_angle_gamma 90.00
_space_group_name_H-M_alt 'P b a m'
_space_group_IT_number 55
loop_
_space_group_symop_operation_xyz
'x,y,z'
'-x,-y,-z'
'-x,-y,z'
'x,y,-z'
'x+1/2,-y+1/2,-z'
'-x+1/2,y+1/2,z'
'-x+1/2,y+1/2,-z'
'x+1/2,-y+1/2,z'
loop_
_atom_site_label
_atom_site_type_symbol
_atom_site_fract_x
_atom_site_fract_y
_atom_site_fract_z
Mg1 Mg 0.000 0.000 0.000
Mg2 Mg 0.167 0.363 0.500
Pd1 Pd 0.000 0.500 0.000
Pd2 Pd 0.100 0.756 0.000
Pd3 Pd 0.180 0.112 0.500
```

Values from the calculation:
Calculated total energy ... -16.54 eV per atom
ΔH_f (0 K) ... -0.62 eV per atom


Entry 3:
Computed, not measured: a relaxed structure of MgPd at the r2SCAN level of DFT.

Cell and atoms, written as CIF:
```
data_MgPd
_cell_length_a 3.155
_cell_length_b 3.155
_cell_length_c 3.155
_cell_angle_alpha 90.00
_cell_angle_beta 90.00
_cell_angle_gamma 90.00
_space_group_name_H-M_alt 'P m -3 m'
_space_group_IT_number 221
_space_group_name_Hall '-P 4 2 3'
loop_
_atom_site_label
_atom_site_type_symbol
_atom_site_fract_x
_atom_site_fract_y
_atom_site_fract_z
Mg1 Mg 0.000 0.000 0.000
Pd1 Pd 0.500 0.500 0.500
```

Values from the calculation:
Calculated total energy ... -14.28 eV per atom
ΔH_f (0 K) ... -0.71 eV per atom


Entry 4:
Computed, not measured: a relaxed structure of PrMgPd at the r2SCAN level of DFT.

Cell and atoms, written as CIF:
```
data_PrMgPd
_cell_length_a 7.6871
_cell_length_b 7.6871
_cell_length_c 4.1060
_cell_angle_alpha 90.00
_cell_angle_beta 90.00
_cell_angle_gamma 120.00
_space_group_name_H-M_alt 'P -6 2 m'
_space_group_IT_number 189
_space_group_name_Hall 'P -6 -2'
loop_
_atom_site_label
_atom_site_type_symbol
_atom_site_fract_x
_atom_site_fract_y
_atom_site_fract_z
Pr1 Pr 0.0000 0.5842 0.0000
Mg1 Mg 0.0000 0.2358 0.5000
Pd1 Pd 0.0000 0.0000 0.0000
Pd2 Pd 0.3333 0.6667 0.5000
```

Values from the calculation:
Calculated total energy ... -19.48 eV per atom
ΔH_f (0 K) ... -0.64 eV per atom


Entry 5:
Computed, not measured: a relaxed structure of Pr2MgPd2 at the r2SCAN level of DFT.

Cell and atoms, written as CIF:
```
data_Pr2MgPd2
_cell_length_a 7.761
_cell_length_b 7.761
- - -
TRICKFILM-SHOW III – An Oscar® winner goes loopy
The title could mean I’ve got crazy, I spin through or … is it about Zoetropes? I’ll explain what that means in my show III.
I give the audience a look behind the scenes as a commercial filmmaker, animation workshop leader and independent animation producer.
I present my Zoetrope workshop and show the results of the workshop as a SPINNING-ANIMATION-SHOW.
I would like to introduce my animated film THE SAUSAGE RUN, a slightly mischievous variation on the Grimm fairy tale “Little Red Riding Hood”, which was completed in 2021. The story is told in an unusual way using Zoetropes.
I use illustrative material to demonstrate how the film was made using the latest technology and how I went “crazy” with it technically and stylistically.
As a highlight, I will be showing the multi-award-winning experimental film VIRTUOS VIRTUELL, which I realized with the drawing artist and directing partner Maja Oschmann.
The film is a music visualization with abstract ink paintings to an overture by Louis Spohr.
Maja Oschmann and I conduct an interview on stage about how we divided up our work on the film.

Films, presented in show III
See my next events.